Wednesday, January 27, 2016

Navigating through the Delhi roads!

**Unrelated to this text: records of molecules**
********
Record 1
C2H4NP | ωB97M-V/def2-TZVPD

Values from the calculation:
- ⟨S²⟩: 2.02
- Gap between HOMO and LUMO (alpha / beta): 0.2793 / 0.3291 Ha
- Charge: 0
- Energy above the lowest of the compared OMol25 structures with the same formula, charge and spin: 292.48 kJ/mol
- HOMO level (alpha / beta): -7.7 / -10.9 eV
- Spin multiplicity: 3

CARTESIAN COORDINATES (ANGSTROEM)
C  -0.381  0.702  0.831
C  0.212  -0.344  -0.062
N  1.442  2.065  3.325
P  0.771  1.712  2.039
H  -1.013  1.544  0.293
H  1.321  -0.155  -0.155
H  -0.324  -0.123  -1.011
H  -0.104  -1.358  0.412


Record 2
C6H24N12O6 | ωB97M-V/def2-TZVPD

Values from the calculation:
- ⟨S²⟩: 0.75
- Gap between HOMO and LUMO (alpha / beta): 0.0681 / 0.3400 Ha
- Charge: -1
- Energy above the lowest of the compared OMol25 structures with the same formula, charge and spin: 0.00 kJ/mol
- HOMO level (alpha / beta): 0.2 / -7.2 eV
- Spin multiplicity: 2

CARTESIAN COORDINATES (ANGSTROEM)
C  -3.849  25.201  15.525
O  -3.561  24.949  16.692
N  -4.590  24.458  14.777
N  -3.234  26.116  14.827
H  -4.912  24.690  13.848
H  -5.161  23.801  15.290
H  -2.355  26.511  15.130
H  -3.565  26.307  13.892
C  -2.155  22.066  17.679
O  -2.149  20.875  17.615
N  -2.552  22.774  18.728
N  -1.678  22.783  16.667
H  -3.037  22.198  19.401
H  -2.654  23.777  18.668
H  -2.099  23.700  16.628
H  -1.231  22.376  15.857
C  -2.609  29.083  11.898
O  -2.708  29.443  10.704
N  -3.659  28.606  12.607
N  -1.504  28.984  12.529
H  -3.613  28.552  13.615
H  -4.556  28.766  12.171
H  -0.656  29.217  12.032
H  -1.403  28.363  13.320
C  -5.621  24.969  19.484
O  -6.048  24.957  20.600
N  -5.634  23.984  18.638
N  -5.129  26.004  18.897
H  -5.853  23.090  19.054
H  -4.985  24.011  17.865
H  -5.325  26.838  19.431
H  -4.627  26.105  18.026
C  0.587  27.070  14.776
O  -0.608  27.064  14.772
N  1.108  28.111  15.399
N  1.387  26.278  14.144
H  2.053  28.445  15.279
H  0.481  28.744  15.875
H  1.111  25.705  13.359
H  2.390  26.358  14.232
C  -7.455  21.436  15.712
O  -7.294  21.791  14.546
N  -6.470  21.321  16.562
N  -8.666  21.407  16.249
H  -6.529  20.555  17.218
H  -5.548  21.586  16.246
H  -8.804  21.283  17.242
H  -9.387  21.336  15.546

* * * * *

Entry 1:
Formula: C39H26BClF4GdN6OSe
Source: the OMol25 dataset
Level of theory: ωB97M-V/def2-TZVPD

Calculated values
- Kohn-Sham gap (spin up / spin down): 5.67 / 4.25 eV
- Lowest unoccupied orbital energy (spin up / spin down): 1.44 / 0.23 eV
- 2S+1: 8
- Charge: -1
- E_tot: -5957.6330 hartree
- <S²>: 16.05

Geometry (Å):
Gd (11.8704, 11.0905, 13.9252)
Cl (11.1833, 10.9053, 6.4831)
C (11.1388, 10.5364, 8.1416)
C (9.9101, 10.4093, 8.7873)
C (9.8581, 10.2188, 10.1457)
C (11.0451, 10.1079, 10.9219)
O (10.9665, 10.0562, 12.2148)
C (12.3318, 10.2309, 10.2204)
C (13.5852, 10.2598, 10.9496)
N (13.7273, 10.5652, 12.2467)
C (15.0395, 10.6233, 12.7112)
C (16.1859, 10.9778, 11.9688)
C (17.4410, 11.0459, 12.5609)
C (17.6145, 10.8704, 13.9166)
C (16.5035, 10.5970, 14.7356)
C (16.5499, 10.5911, 16.1447)
********
**End of the records of molecules**

An old post dug out from the drafts!

# Records of molecules from another source follow
........
(1)
{
  "formula": "C23H20Cl2N2O3S",
  "method": "the ωB97M-V functional and the def2-TZVPD basis",
  "max_force_ev_per_a": 1.15,
  "homo_lumo_gap_ev": 9.22,
  "e_above_lowest_ev": 0.357,
  "smiles": "O=C(CN(c1cccc(Cl)c1)S(=O)(=O)c1ccc(Cl)cc1)N1CCc2ccccc2C1",
  "homo_ev": -8.85,
  "species": ["Cl", "Cl", "S", "O", "O", "O", "N", "N", "C", "C", "C", "C", "C", "C", "C", "C", "C", "C", "C", "C", "C", "C", "C", "C", "C", "C", "C", "C", "C", "C", "C", "H", "H", "H", "H", "H", "H", "H", "H", "H", "H", "H", "H", "H", "H", "H", "H", "H", "H", "H", "H"],
  "xyz": [[-1.836335, -5.104663, 3.095889], [4.015214, 0.579243, 2.734705], [-1.938870, 0.863352, 0.844287], [-1.977622, 1.580079, -0.400705], [0.361017, -2.022069, 0.196224], [-2.768000, 1.320380, 1.913685], [0.566564, -0.603313, -1.512091], [-2.328364, -0.722398, 0.487142], [-2.785913, -1.585102, 1.495910], [-2.646822, -3.616266, 2.757904], [2.003399, -0.853263, -1.453665], [1.088500, 1.522835, -2.598196], [-0.174981, -1.298921, -0.632786], [0.706184, 1.597933, 0.788552], [1.413300, -0.095858, 2.877513], [2.724120, -0.292014, -2.673921], [2.425338, 1.172010, -2.755104], [0.083444, 0.417693, -2.430548], [-1.703974, -1.235027, -0.715810], [-3.931783, -1.236598, 2.206922], [0.713943, 2.857320, -2.606368], [0.095633, -0.024208, 2.462633], [-3.779005, -3.275510, 3.479360], [2.370111, 0.680324, 2.236893], [3.005899, 3.490975, -2.937659], [1.674613, 3.839702, -2.780250], [2.026861, 1.535503, 1.198262], [-0.240439, 0.811253, 1.414376], [-2.136850, -2.785532, 1.775519], [3.383383, 2.158618, -2.918111], [-4.409008, -2.074952, 3.197524], [-2.059840, -2.258169, -0.867376], [4.422192, 1.884677, -3.031990], [-5.293463, -1.796656, 3.749457], [1.700197, -0.753958, 3.681791], [-0.112362, -0.041534, -3.411694], [-4.155873, -3.936071, 4.243585], [-1.230135, -3.050999, 1.253787], [-4.425351, -0.305851, 1.986770], [2.367908, -0.797370, -3.576195], [0.404181, 2.246156, -0.017950], [-0.666818, -0.618089, 2.940555], [2.779806, 2.138182, 0.714368], [3.794300, -0.475428, -2.580212], [1.384652, 4.879512, -2.787731], [3.753033, 4.259292, -3.069324], [-0.324581, 3.121536, -2.470012], [-0.841008, 0.852655, -2.050796], [2.409264, -0.397187, -0.542681], [2.147167, -1.934578, -1.370044], [-2.052825, -0.617646, -1.542396]],
........

People who have interacted me on a somewhat deeper level than "hey whats up?" would know that if there was such a term as "geographically challenged", i would be the human representation of it. Its something which I openly admit to, and am not in the least apologetic about- I am horrible with directions...and while my other sense are pretty intact (yes common sense included!), my road sense has been deep in slumber since birth.

So its really no wonder that I wasn't exactly most enthusiastic about learning how to drive and getting a license. Most of my friends/acquaintances celebrated their 18th birthdays by getting a permanent driver's license. On my 18th, i had just started to figure my way around Delhi. Since then, a small group of people had been pestering me to learn this so-called art of driving, and get my license. I had a million excuses ready- "I don't have a car, so its not like the license will be of much use" "I stay in a hostel, i don't need a license" "i LOVE delhi's public transport!" (i do really!) and of course, the trump card "Do you NOT know how horrible I am with directions? I mean i get lost inside my own colony!" Funnily, the majority of the people in my life never pestered me too much about this whole thing- i guess people know me too well :)

However, things changed. One summer evening in July, I decided that i had to know how to drive. Kids younger than me, wayyyy younger than me, were navigating through delhi roads...i mean its insulting right? Thus began the driving classes- official and un-official. The official ones, with the driving school were a bit of a joke. It was during the unofficial ones, with the father, that (to use a phrase which has to be in hindi!) aate daal ka bhaav pata chala! The first day of driving, I promptly announced to one and all that I would much rather do a million dissertations than drive- yes i am melodramatic like that!

Yesterday was my maiden drive on the scary roads of Delhi allbymyself. Yes- There was no father, no brother, no one who would tell me to slow down, give the indicator, lower my speed, go right/left/wherever. I was on my own. I was the driver and the navigator
It was the scariest experience of my life. I wasnt this scared when i drove for the very first time. Or when the father took us on the ring road when we hadnt even got our learner's license. Or when he asked me to drive through naraina during peak hour and the mother was mortified, and prayed to all the gods known to mankind till we made it back home. I don't think i have ever experienced true fear like I did yesterday. For a second, I considered taking the metro instead- i mean who am i kidding? I was definitely NOT born to drive...why do i even try? Thank god I don't take myself seriously most of the time ;)
My maiden drive was horrible. I mean i drove my worst. Not unsafe driving, but just sheer horrible driving. But it was extremely rite-of-passagey, and i felt very very proud of myself; i urge all of you to be proud of me as well ;)

No i haven't changed drastically. I am still geographically challenged- it is no co-incidence that i only drive to places the directions to which have been permanently ingrained in my brain. I would still be a thousand times more comfortable at the idea of taking an auto or the metro. But I can drive! And it has given me a completely new perspective to Delhi roads- the world is a very different place behind that steering wheel. I hate pedestrians when I am driving (i think driver-me would have long killed pedestrian-me had they shared a road). I hate those auto-type/van type/three-wheeler things (i had never really noticed them before). I hate DTC buses and cycle rickshaws (such conflict inside my head!). I hate trucks (ya those I always wasnt too fond of). I swear a LOT inside my head (!) I hate people staring at me when I am driving- yes i am a girl. yes i drive horrible. yes the engine goes off. yes i have a problem parking, and taking the car out of the parking. what is YOUR problem? overtake my car, and GO.

I don't know how comfortable i will be with this whole driving thing in the future. There's a high possibility that I might give it up, just like that. But for now, let me bask in this glory :)
And thus endeth the saga of my journey from geographically challenged public transport loving girl, to geographically challenged public transport loving girl who learnt how to drive and navigate!

This blog post is inspired by the blogging marathon hosted on IndiBlogger for the launch of the #Fantastico Zica from Tata Motors. You can apply for a test drive of the hatchback Zica today.

A book with a lasting impact

A teacher recommends three books in her class. The students take turns borrowing the books and share notes.

“So how was bitter chocolate?”

“Umm, depressing yet amazing…very well written…you should definitely read it.”

So I get the book and start reading it. The book begins with an author’s note which churns my stomach. Ok, its ok, just a book, I tell myself. Except that no one told me that it’s not JUST a book. Bitter chocolate is an experience, albeit a traumatic one at that, which makes your mind go totally haywire, and has a lasting impact on the reader. But first, let me tell you about the book in much the same fashion as Pinki Virani, the author, writes it: dripping with facts.

Bitter chocolate is a book about child sexual abuse in India. It is divided into three notebooks. The first deals with what CSA is, the statistics and the effects of it. The second notebook gives two detailed case histories. Finally, the third notebook talks about the healing process, recovery of CSA victims and their families. The book is interspersed with several real life case histories.
The book ends with a list of books recommended by the author on CSA and related subjects, such as marital abuse. It also contains a small compilation of contact details of NGO’s working in the area of CSA, in the major Indian cities.

Now that the facts are over, let me come to the real thing- Bitter Chocolate was a harrowing experience for me, which shook my very soul. I was never ignorant to CSA/sexual abuse before reading the book: the countless OPRAH shows which I have watched on the subject will vouch for that. 

But this was different. Very different. Perhaps it was the Indian context, perhaps the cold bloodedness of the hard facts or perhaps it was the sarcasm underlying every word in every page of the book; I don’t know. 

But I know that I will never be the same again. I am seeing every human being in a new light, in a new perspective. Every male seems like a potential perpetrator of CSA. Looking at every woman and child makes me question: have they been sexually abused today? Or yesterday? Will they ever be sexually abused at any point in their lives? Oh leave aside strangers. I have started to doubt my family members, my friends, their families, neighbours and about countless people who I have ever known in my life: all of them seem like they hold some secret related to CSA….do they?
None of these emotions are in any way exaggerated or written for effect. Not even the fact that after I finished the first notebook, I stayed up all night crying inconsolably, questioning just about everything in this universe. 

Would I recommend this book to anyone? OF COURSE and not just to anyone, but to everyone who cares to listen. To everyone who has ever loved and trusted. Essentially to everyone who knows how to read. It would be to create awareness, to make CSA a dining table conversation. But more than that, perhaps I would recommend it to people in hope, that someday, someone, somewhere would read it and find peace, even for a few minutes. Or better yet, prevent CSA from taking place.
Would I read it again? Or rather, do I have it in me to go through the whole ordeal again? Honestly, I don’t know and I can’t say. 

So coming back to the question: how IS Bitter Chocolate? Simply put, an experience, one which leaves a lasting impact.

This blog post is inspired by the blogging marathon hosted on IndiBlogger for the launch of the #Fantastico Zica from Tata Motors. You can apply for a test drive of the hatchback Zica today.